Slawter - Page 14/19


On the outskirts of Slawter. Proceeding slowly, Dervish slightly ahead of Bill-E and me, one hand held palm up, trying to determine whether or not there's a barrier in place. He said we should determine the lay of the land before raising the alarm. No point trying to herd dozens of people out of town if they're going to be knocked out by a magically enforced shield.

"Why aren't we hungry?" Bill-E asks, checking the date on his watch. "We've been asleep for... hell on a Harley! Six days! We should be ravenous but I don't even feel peckish."

"Trust you to be thinking about your stomach at a time like this!" I snort.

Dervish laughs gently. "No, it's a good question. The answer's simple-magic. We were cocooned from the demands of the real world. Hunger and thirst will hit us later, if we make it out, but right now we're still operating by the magical rules of Slawter."

"Is there anything magic can't do?" Bill-E asks.

"Not much," Dervish says, then draws up short. His fingers are trembling. He moves his hand left, right, left again. "Can you feel it?"

"No," Bill-E frowns.

"Yes." I take a step forward, sniffing the air. It doesn't smell different, but it feels wrong. I raise a hand like Dervish, slide it forward, sense power building against it.

"No further," Dervish says. "We don't want to disturb the fabric of the barrier-it might tip off our enemies."

"What is it?" I ask.

"In non-technical terms, a bubble of magic. They've sealed off the town. Enclosed it within a magical sphere, like putting a giant glass bowl over everything." He frowns. "No demon is powerful enough to create a barrier this size, not in our universe. They're using the stone you saw in the D workshops. It must be a functioning lodestone, a reservoir of ancient power. There aren't many left in the world. The magic drained from most of them centuries ago. Others were deliberately destroyed, to prevent them falling into the hands of demonic mages.

"This is worse than I thought. With the power of a lodestone at their disposal, they can build a tunnel. Dozens of demons can cross and run riot within the barrier. Stay as long as they like. Nobody will be able to escape."

"We have to stop them!" Bill-E gasps. "We can, can't we, Dervish?"

"Of course," Dervish says wearily, lowering his hand. "If we shatter the lodestone, the bubble will burst. But now that we know about it, the Demonata will have increased security around the warehouse. They're not stupid."

"We have to try," I say quietly. "We can't stand by and let people die."

"You're forgetting our earlier conversation," Dervish says with a bitter smile. "The Disciples often let people die. In a situation like this, we'd normally sit back and let the Demonata run their course. We don't have the power to stop them. Better to conserve our strength and fight them when we have a chance of winning."

Between two parts of the article: crystal structures >
-- begin --
1.
{
  "formula": "Sc5Si10Rh4",
  "functional": "PBE",
  "state": "optimized geometry",
  "formation_enthalpy_0k_ev_per_atom": -0.83,
  "density_g_cm3": 4.86,
  "spacegroup": "No. 127",
  "m_tot_mub_per_atom": 0.00,
  "lattice": [[12.4183, 0.0000, 0.0000], [0.0000, 12.4183, 0.0000], [0.0000, 0.0000, 4.0636]],
  "species": ["Sc", "Sc", "Sc", "Sc", "Sc", "Sc", "Sc", "Sc", "Sc", "Sc", "Si", "Si", "Si", "Si", "Si", "Si", "Si", "Si", "Si", "Si", "Si", "Si", "Si", "Si", "Si", "Si", "Si", "Si", "Si", "Si", "Rh", "Rh", "Rh", "Rh", "Rh", "Rh", "Rh", "Rh"],
  "fractional_positions": [[0.0000, 0.0000, 0.0000], [0.1134, 0.3866, 0.5000], [0.1752, 0.6752, 0.5000], [0.3248, 0.1752, 0.5000], [0.3866, 0.8866, 0.5000], [0.5000, 0.5000, 0.0000], [0.6134, 0.1134, 0.5000], [0.6752, 0.8248, 0.5000], [0.8248, 0.3248, 0.5000], [0.8866, 0.6134, 0.5000], [0.0028, 0.8471, 0.5000], [0.0659, 0.5659, 0.0000], [0.1529, 0.0028, 0.5000], [0.1636, 0.2011, 0.0000], [0.2011, 0.8364, 0.0000], [0.2989, 0.3364, 0.0000], [0.3364, 0.7011, 0.0000], [0.3471, 0.5028, 0.5000], [0.4341, 0.0659, 0.0000], [0.4972, 0.3471, 0.5000], [0.5028, 0.6529, 0.5000], [0.5659, 0.9341, 0.0000], [0.6529, 0.4972, 0.5000], [0.6636, 0.2989, 0.0000], [0.7011, 0.6636, 0.0000], [0.7989, 0.1636, 0.0000], [0.8364, 0.7989, 0.0000], [0.8471, 0.9972, 0.5000], [0.9341, 0.4341, 0.0000], [0.9972, 0.1529, 0.5000], [0.0208, 0.7540, 0.0000], [0.2460, 0.0208, 0.0000], [0.2540, 0.5208, 0.0000], [0.4792, 0.2540, 0.0000], [0.5208, 0.7460, 0.0000], [0.7460, 0.4792, 0.0000], [0.7540, 0.9792, 0.0000], [0.9792, 0.2460, 0.0000]]
}

***

2.
{
  "formula": "EuZnAu",
  "functional": "PBE",
  "state": "optimized geometry",
  "formation_enthalpy_0k_ev_per_atom": -0.63,
  "density_g_cm3": 9.70,
  "spacegroup": "No. 62",
  "lattice": [[7.5455, 0.0000, 0.0000], [0.0000, 4.6927, 0.0000], [0.0000, 0.0000, 8.0115]],
  "species": ["Eu", "Eu", "Eu", "Eu", "Zn", "Zn", "Zn", "Zn", "Au", "Au", "Au", "Au"],
  "fractional_positions": [[0.0052, 0.2500, 0.1983], [0.4948, 0.7500, 0.6983], [0.5052, 0.2500, 0.3017], [0.9948, 0.7500, 0.8017], [0.1766, 0.2500, 0.5805], [0.3234, 0.7500, 0.0805], [0.6766, 0.2500, 0.9195], [0.8234, 0.7500, 0.4195], [0.2039, 0.7500, 0.4060], [0.2961, 0.2500, 0.9060], [0.7039, 0.7500, 0.0940], [0.7961, 0.2500, 0.5940]]
}

***

3.
{
  "formula": "MnC3NCl3",
  "functional": "PBE",
  "state": "optimized geometry",
  "formation_enthalpy_0k_ev_per_atom": 0.62,
  "density_g_cm3": 1.85,
  "spacegroup": "No. 62",
  "m_tot_mub_per_atom": 0.58,
  "lattice": [[14.9404, 0.0000, 0.0000], [0.0000, 5.9130, 0.0000], [0.0000, 0.0000, 8.5662]],
  "species": ["Mn", "Mn", "Mn", "Mn", "C", "C", "C", "C", "C", "C", "C", "C", "C", "C", "C", "C", "N", "N", "N", "N", "Cl", "Cl", "Cl", "Cl", "Cl", "Cl", "Cl", "Cl", "Cl", "Cl", "Cl", "Cl"],
-- stop --

"But this is different," I growl. "We know these people."

"That's not enough of a reason to get involved. I've had to sacrifice friends to demons before."

"Don't tell me you mean to-" I start to explode.

"Easy," Dervish calms me. "We won't stand by idly. We can't. Because you're right, this is different. We're caught up in it. If we don't find a way out, it's not just the cast and crew of Slawter who'll perish-we'll die too."

Heading into the heart of town. Dervish says there might be another way out of this mess-burst through a small section of the bubble, creating a temporary gap through which we can flee. But we're not powerful enough to do it ourselves. We need to pin a demon against the bubble, then explode it with magic. By focusing the energy generated, we should be able to blast a hole through the barrier, which we can keep open for a while, allowing people to slip out.

Should. No guarantees.

One of our main problems will be getting a demon in the right place, at the right time. We can't just march into the D Workshops and ask one of them to come to the barrier with us.

But before that, we have to figure a way to convince the rest of the crew and cast that we're not crazy, their lives are in danger, demons are real, they have to trust us if they want to live. To that end, we're heading for Davida Haym's offices. If she's innocent-bloody unlikely!-Dervish hopes to recruit her and use her to issue a general alarm. If, as we suspect, she's in league with the Demonata, he plans to make her confess in public, to persuade the others to trust us.

It's hair-raising stuff, sneaking through town, ducking down side-alleys, keeping out of sight. We don't know who our enemies are. Dervish doesn't think many humans will be working for the demons, that most of the people here are innocent. But we can't be sure who to trust. We know a few of the traitors-Chuda Sool and Tump Kooniart, the guards who were with Kuk and his father when they disappeared, probably Davida. But there will be more. We can't expose ourselves and risk raising the alarm.

I suggest making ourselves invisible. Dervish vetoes the idea. "Powerful demons can sense magic being used. We've been lucky so far, but every time one of us draws on the power in the air, we risk pinpointing our position."

So we steal through town unassisted by magic. Luckily, although it's afternoon, Slawter is quiet, not many people about. We make it to Davida's offices unnoticed and let ourselves in. One of her secretaries is usually stationed at the front desk, but our luck holds-the chair is vacant. We slip past and into the main office, the hub of operations, from which all orders flow.

Davida isn't here. The office is empty. Lots of papers, small demon models, a miniature set of the town, maps on the walls with scores of dates, names, times, schedules. But no Davida Haym.

"Go through the drawers," Dervish says, hurrying to one of the many file cabinets in the room. "Look for anything that might give us an advantage-plans, a list of demons, spells, whatever."

"You think she'll keep details like that in unlocked cabinets?" Bill-E asks.

"No," Dervish sighs. "But it'll keep us busy. And you never know-we might strike lucky."

Rooting through drawers, pulling out folders, glancing through the pages, then discarding them, scattering them across the floor, not caring about the mess we're making.

I'm halfway through a drawer when Bill-E makes a shushing sound and hurries to the door. He listens for a second, then nods-people are coming. Dervish and I move up next to him, taking cover behind the door, crouching low so as not to be visible through the upper panels of glass in the office wall.

Footsteps. Two people talking. The door opens.

"...have to get it right," Davida Haym says, stepping into the office. "This is a one-time deal. If we blow it, we won't-" She spots the mess and stops.

"What the hell?" Chuda Sool says, stepping up beside her.

Dervish springs to his feet. His right hand comes flying up, fingers curled into a fist. He punches Chuda's jaw like a professional boxer. Chuda grunts and spins aside, smacking hard into the glass of the upper wall, cracking it. Bill-E and I leap on Davida as she screams. We pull her down and cover her mouth with our hands. She tries to bite but we jam our hands down more firmly.

Dervish closes in on Chuda, who's dazed but still on his feet. Chuda tries to block Dervish's next punch, but it penetrates, grazing the side of his head, not connecting as firmly as the first blow, but knocking Chuda back a few more centimetres. I always knew Dervish was stronger than he looked but I've never seen him in this sort of kick-ass mode before. It's cool!

Chuda grabs a paperweight from Davida's desk and swings it round, but Dervish blocks his arm and knocks it aside. Chuda roars and gets the fingers of one hand on Dervish's throat. Dervish lets him squeeze, cool as ice, sizing him up.

Then he pummels a fist into Chuda's stomach. Chuda grunts. His fingers loosen. Dervish takes a step back, judges the angle, then takes one final crack at his opponent's jaw. Chuda's head snaps back, his eyes flutter shut and he slumps to the floor.

Dervish turns away from Chuda, panting lightly. His eyes fall on Davida, still struggling beneath Bill-E and me. He jerks his head at us. We slide off. Davida starts to sit up, spluttering furiously. Before she completes the move, Dervish puts a foot on her chest and pushes her back down. Stands over her like a triumphant gladiator, fixing her with a glare which is evil in its intensity.

"Now, lady," he snarls, "it's time for you to talk. And you're going to tell me exactly what I want to hear." He moves his foot up to her throat. "Or I'll do things to you that would make a demon blanch."

"You have no right to do this," Davida says sourly. Dervish has allowed her to rise. She's sitting in her plush leather chair, glaring at us. "When I tell security what you've done, you'll be in so much-"

"We know about the Demonata," Dervish snaps. "Lord Loss and his familiars. The barrier and the lodestone in the D workshops. You can't fool us any longer. So talk."

Davida pinches her lips shut. We think she's working with the demons, but we're not sure. I guess Dervish figures it's best to assume the worst and treat her harshly. He can apologise later if she's innocent.

"Don't think I won't do terrible things to you," Dervish says softly. "I obey human laws when it suits, but break them without hesitation when I must. The only reason I haven't gone to work on you is the boys. But I'm five seconds away from sending them out to the next room and doing whatever I have to to get answers."

"You don't know what you're interfering with," Davida snarls, betraying herself, confirming our worst suspicions. "This is way beyond anything you can imagine."

"You underestimate my imagination," Dervish smiles icily.

"These are real demons, you fool! They can do things you wouldn't believe. If you mess with them, you'll wind up-"

"I've been messing with the Demonata for decades," Dervish interrupts. "Now tell me your story. How deep are you in this? What did they promise? Power? Magic? Eternal life?"

"They promised nothing except what I asked for-a great movie."

Dervish frowns. "We're past that stage. Your lousy movie cover is blown. I want to know the real reason why-"

"Cover?" Davida laughs contemptuously. "It was never a cover. I'm making the greatest horror film ever. A movie with real demons, doing what real demons do, captured on film-what better reason could there be than that?"

Dervish's frown deepens. "You're telling me that was the trade-off? You helped the demons cross to our world, provided them with all the victims you could and they agreed to be filmed? It was as shallow as that?"

"You know nothing about movie-making," Davida sneers. "Life is shallow. It's meaningless. Life passes and is forgotten within minutes. But movies endure. A film outlives everyone involved. If it's good enough. If it's magical."

She leans forward intently. "You think I'm evil and you're probably right. I brought all these people here, knowing they'd die. But we all die in the end. Pointless, forgettable deaths. We fade and it's like we never existed. We come, we live, we die, and that's that. Not much of a story, huh?

"But that's about to change for you, me, everybody here. We'll become part of history. I'm making a movie which will survive as long as the human race itself. Demons will attack... kill hundreds of people in unimaginable ways... and I'll capture it all on camera. Splice it in with the other scenes I shot. Make the most shocking horror film ever. I'll be notorious, yes, feared and despised. I'll be imprisoned, maybe executed. But I'll be remembered. And so will the others. And that's the most any of us can hope for."

She stops, breathing heavily, face flushed.

"She's loco," Bill-E says. "How come she wasn't locked up years ago?"

Dervish shakes his head in wonderment. "You planned to let these people be butchered in the name of art, so you could film the massacre and turn it into entertainment. That's a new one. I've seen crazy mages bring the Demonata into our world for all sorts of reasons-but never to break box-office records."

"You don't get it," Davida laughs. "This is immortality. It will put us up with the ranks of the great. We'll mingle with the giants of history-Caesar, Alexander, Napoleon. The world will always want to see this film, to experience true terror, to get as close as they can to the reality of the demonic."

"You're deluding yourself," Dervish says. "There won't be a film. Even if you capture the footage, you won't live to edit it. The Demonata will kill you along with the rest of us. You'll be a brief news item-nothing more."

"No," Davida insists. "We have a deal. I give them you, they let me make my film."

"Do you have that in writing?" Dervish chuckles, then stops. "What do you mean, you give them us?"

"I've spent the last several years recruiting demons," Davida says. "I got a few lesser demons involved once I laid my hands on the lodestone and they saw that I was serious, but I needed a demon master. By myself, I could only use the stone to create a brief window between universes. I knew a demon master could help me use it to build a tunnel, letting many more demons cross and giving them plenty of time to cavort.

What comes next are data records, not part of the piece:
+++
(1)
A geometry-optimized PuZr4C5 structure. Source: the Materials Project database, functional PBE.

a b c (Å): 13.9694 13.9694 13.9694
angles (deg): 13.84 13.84 13.84
Closest atoms and distances in Å follow each position.
Fractional positions:
Pu1 0.0000 0.0000 0.0000  6 C 2.41
Zr1 0.5972 0.5972 0.5972  6 C 2.33-2.43
Zr2 0.1991 0.1991 0.1991  6 C 2.36-2.39
Zr3 0.8009 0.8009 0.8009  6 C 2.36-2.39
Zr4 0.4028 0.4028 0.4028  6 C 2.33-2.43
C1 0.7009 0.7009 0.7009  3 Pu 2.41, 3 Zr 2.43
C2 0.5000 0.5000 0.5000  6 Zr 2.36
C3 0.1006 0.1006 0.1006  6 Zr 2.33-2.39
C4 0.2991 0.2991 0.2991  3 Pu 2.41, 3 Zr 2.43
C5 0.8994 0.8994 0.8994  6 Zr 2.33-2.39

## Properties
Total magnetization: 3.74 μB per formula unit
Space-group type: No. 166
Formation enthalpy at 0 K: -0.62 eV/atom


(2)
A geometry-optimized Pu4ZrC5 structure. Source: the Materials Project database, functional PBE.

a b c (Å): 14.4629 14.4629 14.4629
angles (deg): 13.76 13.76 13.76
Closest atoms and distances in Å follow each position.
Fractional positions:
Pu1 0.1019 0.1019 0.1019  6 C 2.44-2.49
Pu2 0.7001 0.7001 0.7001  6 C 2.46-2.48
Pu3 0.2999 0.2999 0.2999  6 C 2.46-2.48
Pu4 0.8981 0.8981 0.8981  6 C 2.44-2.49
Zr1 0.5000 0.5000 0.5000  6 C 2.43
C1 0.5993 0.5993 0.5993  6 Pu 2.48-2.49
C2 0.0000 0.0000 0.0000  6 Pu 2.46
C3 0.4007 0.4007 0.4007  6 Pu 2.48-2.49
C4 0.1988 0.1988 0.1988  3 Zr 2.43, 3 Pu 2.44
C5 0.8012 0.8012 0.8012  3 Zr 2.43, 3 Pu 2.44

## Properties
Total magnetization: 0.27 μB per formula unit
Space-group type: No. 166
Formation enthalpy at 0 K: 0.40 eV/atom


(3)
A geometry-optimized Rb4C structure. Source: the Materials Project database, functional PBE.

a b c (Å): 8.3185 8.3185 8.3185
angles (deg): 93.91 93.91 149.74
Closest atoms and distances in Å follow each position.
Fractional positions:
Rb1 0.2674 0.5000 0.7674  2 C 3.42, 2 Rb 3.74
Rb2 0.7326 0.5000 0.2326  2 C 3.42, 2 Rb 3.74
Rb3 0.5000 0.2674 0.7674  2 C 3.42, 2 Rb 3.74
Rb4 0.5000 0.7326 0.2326  2 C 3.42, 2 Rb 3.74
C1 0.0000 0.0000 0.0000  8 Rb 3.42

## Properties
Total magnetization: 0.00 μB per formula unit
Space-group type: No. 139
Formation enthalpy at 0 K: 1.01 eV/atom
E above lowest polymorph: 0.0273 eV/atom


(4)
A geometry-optimized Rb4C structure. Source: the Materials Project database, functional PBE.

a b c (Å): 8.6031 8.6031 8.6031
angles (deg): 152.70 107.11 79.47
Closest atoms and distances in Å follow each position.
Fractional positions:
Rb1 0.7455 0.5000 0.2455  2 C 3.30, 2 Rb 3.65
Rb2 0.2545 0.5000 0.7545  2 C 3.30, 2 Rb 3.65
Rb3 0.1931 0.6931 0.5000  2 C 3.26, 2 Rb 3.65
Rb4 0.8069 0.3069 0.5000  2 C 3.26, 2 Rb 3.65
C1 0.0000 0.0000 0.0000  8 Rb 3.26-3.30

## Properties
Total magnetization: 0.00 μB per formula unit
Space-group type: No. 71
Formation enthalpy at 0 K: 0.98 eV/atom
E above lowest polymorph: 0.0000 eV/atom


(5)
A geometry-optimized ReC structure. Source: the Materials Project database, functional PBE.

a b c (Å): 3.2877 3.2877 3.2877
angles (deg): 60.00 60.00 60.00
+++
The data records stop here:

"The trouble is, demon masters are hard to contact. I managed to find one-Lord Loss-but he wasn't interested. I pushed ahead anyway, determined to make the best of what I had. Then, a few months ago, Lord Loss sent one of his most trusted servants to me and offered his services-if I could lure you and the two boys to the set. Lord Loss hates you. He wanted you to be here, to suffer horribly before he personally ripped you to pieces."

"So you came to Carcery Vale to ensnare me," Dervish says bitterly. "Did you cast a spell? Mess with my mind?"

"Of course," Davida smirks. "It wasn't that difficult, or so I've been told-I didn't do it myself. Your brain was all over the place. Quite easy to manipulate. You fell into our trap without any complications. I'm just surprised you recovered your senses now. You weren't supposed to wake until tomorrow, when the bloodshed was in full flow. Still, it doesn't really matter. Your timing's slightly ahead of schedule, but only just. It's far too late for you to make a nuisance of yourself."

"What do you mean?" Dervish growls.

"You don't know?" Davida giggles with delight. "I did think it strange that you were here, grilling me instead of... I thought you hoped to use me as a shield, to bargain your way out. But you really don't know, do you?"

"What the hell are you-" Dervish starts to shout, but is cut short by a voice outside, amplified by a loudspeaker.

"Ten minutes," the voice says. "Will everyone please assemble immediately outside the D workshops. Ten minutes to showtime, folks!"

Dervish stares at Davida, face whitening. She giggles again. "It's the final scene, Grady. When the demons break through and hell erupts. We brought it forward once you found out the truth-we couldn't keep you comatose indefinitely. The actors and crew think the heroes in the movie will save the day. But that's not how it's going to work. I've a surprise up my sleeve. Dozens of demons who aren't playing by the rules of monster movies, who don't have weak spots, who aren't going to be thwarted by a clean-cut movie brat with a cool haircut and a dazzling smile."

Davida looks at her watch and smiles serenely. "Nine more minutes. Then Lord Loss and his familiars burst out of the D warehouse and kill just about every living soul in town." She brings her hands up and claps slowly, to emphasise each word. "Lights! Camera! Slawter!"